Pupil Premium

What is the Pupil Premium?

The pupil premium is additional funding for publicly funded schools in England to raise the attainment of disadvantaged pupils and close the gap between them and their peers.

The Department for Education continue to place an increasing emphasis on closing the achievement gap between students receiving the Pupil Premium and other students, with large amounts of additional funding. There is an increasing accountability on schools in terms of how the funding is used and the impact on student achievement and outcomes.


How much additional funding does Settle College receive?

For the financial year 2023-24, Settle College has been allocated £92,340, as well as £21,804 of recovery premium funding.  We have also received a National Tutoring Programme mainstream funding grant of £5,467.50 to support the provision of additional tutoring.


How is Settle College using the funding?

The funding is used in a variety of ways to increase the academic outcomes of students that receive the Pupil Premium funding.  The use of the funding is separated into three areas: teaching priorities, targeted academic support and wider strategies.

Strategies that will be used in this area include:

  • Funding to support improvements in students' literacy, for example through staff training, resources to support reading, diagnostic literacy assessments and literacy interventions.
  • TA support during lessons and out-of-lesson support where required.
  • Subscriptions to online platforms to support learning in the classroom and at home.

Strategies that will be used in this area include:

  • Small-group maths and English tuition to supplement the learning from within the lessons where students are working below their target grades, or to provide further challenge to access even higher grades.
  • Providing students with the necessary resources to access the curriculum, for example with catering ingredients at KS4.
  • Staffing for revision sessions and providing students with revision materials such as revision guides, as well as access to the online GCSEpod platform.
  • Provision of the Brilliant Club for high ability Key Stage 3 students to promote high aspirations for the future.
  • Running the Settle College summer school to support transition for the new Year 7 cohort (recovery premium funding).

Strategies that will be used in this area include:

  • Prioritised access to the school counselling service.
  • Support for opportunities to enrich the taught curriculum, for example trips and extra-curricular music lessons.
  • Providing students with access to reward activities.
  • Support from the attendance officer to improve students’ attendance, where applicable.

Settle College has a Pupil Premium Strategy Statement, which is updated regularly, that details how the above funding will be used and evaluated.  This can be viewed by clicking on the link below:

Pupil Premium Strategy Statement

The school will consider the guidance offered by the Education Endowment Foundation when planning and implementing strategies to raise achievement of target groups.  This is reviewed by the link governor responsible for monitoring the use of the Pupil Premium Funding.

What impact has Pupil Premium Funding had?


2023 Results

The 2023 results were based on 10 students who received Pupil Premium funding in Year 11.  The overall Progress 8 score for these students was -1.01, compared to 2023 national average for non-pupil premium students of +0.05.

Progress 8 baskets

Pupils eligible for PP at Settle College 2023

Pupils not eligible for PP  National Average

Pupils eligible for PP National average 2023

Progress 8 score - English -1.13 0.03 -0.54
Progress 8 score - Maths -0.81 0.07 -0.47
Progress 8 score - EBacc -0.87 0.06 -0.57
Progress 8 score - open -1.2 0.03 -0.63

Unrelated to this page: calculated crystals:
-- begin --
LiFe3SiPO8: theoretical powder diffractogram (Cu Kα, 1.54184 Å), based on a cell relaxed with GGA+U.

```
LiFe3SiPO8
1.0
5.5583 0.0000 0.0000
0.0000 7.1274 0.0000
-5.3468 0.0000 8.3342
Li Fe Si P O
2 6 2 2 16
Direct
0.0000 0.1986 0.0000
0.0000 0.8014 0.5000
0.2941 0.0545 0.8037
0.2941 0.9455 0.3037
0.3260 0.3435 0.5556
0.3260 0.6565 0.0556
0.6049 0.4257 0.3649
0.6049 0.5743 0.8649
0.0301 0.4889 0.7547
0.0301 0.5111 0.2547
0.6707 0.0507 0.1694
0.6707 0.9493 0.6694
0.0161 0.4572 0.9179
0.0161 0.5428 0.4179
0.1894 0.3034 0.2847
0.1894 0.6966 0.7847
0.2776 0.3523 0.7558
0.2776 0.6477 0.2558
0.3917 0.0623 0.6242
0.3917 0.9377 0.1242
0.6380 0.2404 0.2271
0.6380 0.7596 0.7271
0.6857 0.0635 0.0170
0.6857 0.9365 0.5170
0.7173 0.4362 0.5946
0.7173 0.5638 0.0946
0.9325 0.0613 0.8007
0.9325 0.9387 0.3007
```

Principal peaks in the range 10 to 80 degrees two-theta, low angle first:
- (0 1 1), 2θ = 16.4°, 5.417 Å, I 47
- (1 0 0), 2θ = 19.0°, 4.678 Å, I 53
- (0 0 2), 2θ = 21.3°, 4.167 Å, I 45
- (0 2 0), 2θ = 25.0°, 3.564 Å, I 77
- (0 2 1), 2θ = 27.2°, 3.277 Å, I 100
- (1 1 1), 2θ = 29.3°, 3.050 Å, I 73
- (1 2 -1), 2θ = 29.8°, 2.997 Å, I 38
- (2 1 -2), 2θ = 34.7°, 2.589 Å, I 89
- (2 1 -1), 2θ = 36.1°, 2.489 Å, I 39
- (1 0 -4), 2θ = 36.5°, 2.460 Å, I 80
- (1 1 2), 2θ = 38.0°, 2.368 Å, I 46
- (1 1 -4), 2θ = 38.7°, 2.325 Å, I 30


# Tb5Se5S2
Theoretical X-ray diffraction stick pattern, CuKα. Input: the PBE geometry in Alexandria.

```
data_Tb5Se5S2
_chemical_formula_sum 'Tb10 Se10 S4'
_symmetry_space_group_name_H-M 'C 1 2/m 1'
_symmetry_Int_Tables_number 12
_cell_length_a 13.332
_cell_length_b 3.969
_cell_length_c 11.988
_cell_angle_alpha 90.00
_cell_angle_beta 105.39
_cell_angle_gamma 90.00
loop_
_symmetry_equiv_pos_as_xyz
'x,y,z'
'-x,-y,-z'
'-x,y,-z'
'x,-y,z'
'x+1/2,y+1/2,z'
'-x+1/2,-y+1/2,-z'
'-x+1/2,y+1/2,-z'
'x+1/2,-y+1/2,z'
loop_
_atom_site_label
_atom_site_fract_x
_atom_site_fract_y
_atom_site_fract_z
_atom_site_occupancy
Tb1 0.000 0.000 0.000 1
Tb2 0.110 0.000 0.414 1
Tb3 0.190 0.500 0.808 1
Se1 0.000 0.500 0.500 1
Se2 0.162 0.500 0.052 1
-- stop --


2022 results

The 2022 results were based on 20 students who received Pupil Premium funding in Year 11.  The overall Progress 8 score for these students was -1.63, compared to 2022 national average for non-pupil premium students of +0.15.  Please note that, as with all of the published figures for 2022 outcomes, this progress 8 figure does not include the outcomes that our students received in 2021 through the teacher assessed grades system.  This means that whilst our students achieved more grades in year 10, they are not included in this figure.  The Pupil Premium students achieved the following progress score for each Progress 8 basket:

Progress 8 baskets

Pupils eligible for PP at Settle College 2022 (DfE Data)

Pupils not eligible for PP National Average 2022 Pupils eligible for PP National Average 2022
Progress 8 score - English -1.57 +0.13 -0.52
Progress 8 score - Maths -1.03 +0.14 -0.49
Progress 8 score - EBacc -1.77 +0.16 -0.59
Progress 8 score - open -2.29 +0.15 -0.60


2019 results

The 2019 results were based on 13 students who received Pupil Premium funding in Year 11.  The overall Progress 8 score for these students was +0.32, compared to 2019 national average for non-pupil premium students of +0.13 and the 2019 national average for other pupil-premium students of -0.45.  The Pupil Premium students achieved the following progress score for each Progress 8 basket:

Progress 8 baskets Pupils eligible for PP at Settle College 2019 (DfE Data) Pupils not eligible for PP National Average 2019 Pupils eligible for PP (North Yorkshire average) 2019
Progress 8 score – English -0.33 +0.11 -0.44
Progress 8 score – Maths +0.79 +0.11 -0.39
Progress 8 score – EBacc slots +0.83 +0.14 -0.50
Progress 8 score – Open slots -0.08 +0.12 -0.48


2020 results

As the 2020 results were from centre assessed grades, they are not being published and so will not appear on the website.

2021 results

As the 2021 results were from teacher assessed grades, they are not being published and so will not appear on the website